Source.
/*
[1]
Below is a relaxed LaZn2Os2 crystal, with properties calculated at the PBE-GGA level.

a b c (Å): 4.387 4.387 10.155
angles (deg): 90.00 90.00 90.00
Space group I4/mmm (No. 139)
Inequivalent atoms, fractional coordinates:
La: 0.000 0.000 0.000 (multiplicity 2)
Zn: 0.000 0.500 0.250 (multiplicity 4)
Os: 0.000 0.000 0.386 (multiplicity 4)

Properties
ΔE_f = 0.033 eV/atom
D(E_F) = 1.3899 states/eV per atom
Magnetization = 0.000 μB per formula unit

=====

[2]
Below is a relaxed LaZnOs crystal, with properties calculated at the PBE-GGA level.

a b c (Å): 6.538 6.538 6.538
angles (deg): 90.00 90.00 90.00
Space group F-43m (No. 216)
Inequivalent atoms, fractional coordinates:
La: 0.000 0.000 0.000 (multiplicity 4)
Zn: 0.000 0.000 0.500 (multiplicity 4)
Os: 0.250 0.250 0.250 (multiplicity 4)

Properties
ΔE_f = 0.225 eV/atom
D(E_F) = 1.2995 states/eV per atom
Magnetization = 0.000 μB per formula unit

=====

[3]
Below is a relaxed LaZnOs4 crystal, with properties calculated at the PBE-GGA level.

a b c (Å): 7.553 7.553 7.553
angles (deg): 90.00 90.00 90.00
Space group F-43m (No. 216)
Inequivalent atoms, fractional coordinates:
La: 0.000 0.000 0.000 (multiplicity 4)
Zn: 0.250 0.250 0.250 (multiplicity 4)
Os: 0.124 0.124 0.624 (multiplicity 16)

Properties
ΔE_f = 0.323 eV/atom
D(E_F) = 1.5360 states/eV per atom
Magnetization = 0.003 μB per formula unit

=====

[4]
Below is a relaxed LaZnOs crystal, with properties calculated at the PBE-GGA level.

a b c (Å): 3.473 3.473 10.241
angles (deg): 90.00 90.00 90.00
Space group I4mm (No. 107)
Inequivalent atoms, fractional coordinates:
La: 0.000 0.000 0.000 (multiplicity 2)
Zn: 0.000 0.000 0.288 (multiplicity 2)
Os: 0.000 0.000 0.696 (multiplicity 2)

Properties
ΔE_f = 0.111 eV/atom
D(E_F) = 0.9224 states/eV per atom
Magnetization = 0.000 μB per formula unit

=====

[5]
Below is a relaxed LaZn3Os crystal, with properties calculated at the PBE-GGA level.

a b c (Å): 5.366 5.366 5.366
angles (deg): 90.00 90.00 90.00
Space group Pm-3m (No. 221)
Inequivalent atoms, fractional coordinates:
La: 0.000 0.000 0.000 (multiplicity 1)
Zn: 0.000 0.000 0.500 (multiplicity 3)
Os: 0.500 0.500 0.500 (multiplicity 1)

Properties
ΔE_f = 2.212 eV/atom
D(E_F) = 2.6669 states/eV per atom
Magnetization = 0.081 μB per formula unit
Energy above the lowest structure with this stoichiometry = 2220.7 meV per atom

=====

[6]
Below is a relaxed LaZnOs crystal, with properties calculated at the PBE-GGA level.

a b c (Å): 4.3852 4.3852 3.9621
angles (deg): 90.00 90.00 120.00
Space group P-6m2 (No. 187)
Inequivalent atoms, fractional coordinates:
La: 0.0000 0.0000 0.0000 (multiplicity 1)
Zn: 0.3333 0.6667 0.5000 (multiplicity 1)
Os: 0.6667 0.3333 0.5000 (multiplicity 1)

Properties
ΔE_f = 0.014 eV/atom
D(E_F) = 0.4162 states/eV per atom
Magnetization = 0.000 μB per formula unit

----------

Crystalline AcMn2Al9 at its relaxed geometry, computed with PBE-GGA.

Geometry as CIF:
```
data_AcMn2Al9
_chemical_formula_sum 'Ac1 Mn2 Al9'
_symmetry_space_group_name_H-M 'P 6/m m m'
_symmetry_Int_Tables_number 191
_symmetry_space_group_name_Hall '-P 6 2'
_cell_length_a 8.0720
_cell_length_b 8.0720
_cell_length_c 3.8824
_cell_angle_alpha 90.00
_cell_angle_beta 90.00
_cell_angle_gamma 120.00
loop_
_atom_site_label
_atom_site_fract_x
_atom_site_fract_y
_atom_site_fract_z
Ac1 0.0000 0.0000 0.0000
Mn1 0.3333 0.6667 0.0000
Al1 0.0000 0.5000 0.0000
Al2 0.2116 0.4231 0.5000
```

***

Crystalline AcMnAl at its relaxed geometry, computed with PBE-GGA.

Geometry as CIF:
```
data_AcMnAl
_chemical_formula_sum 'Ac4 Mn4 Al4'
_symmetry_space_group_name_H-M 'P 1 21/c 1'
_symmetry_Int_Tables_number 14
_cell_length_a 6.267
_cell_length_b 6.022
_cell_length_c 8.488
_cell_angle_alpha 90.00
_cell_angle_beta 111.26
_cell_angle_gamma 90.00
loop_
_symmetry_equiv_pos_as_xyz
'x,y,z'
'-x,-y,-z'
'-x,y+1/2,-z+1/2'
'x,-y+1/2,z+1/2'
loop_
_atom_site_label
_atom_site_fract_x
_atom_site_fract_y
_atom_site_fract_z
Ac1 0.192 0.130 0.378
Mn1 0.227 0.611 0.531
*/
Assignment.
What is needed: transcribe only the lines further up with the word "Ac4" in them.
Done.
_chemical_formula_sum 'Ac4 Mn4 Al4'